Tuesday, May 13, 2014

Inserted here: calculated crystals:
+++
[1]
## Tb3DyPd2 (PBE)

Data for an optimized crystal structure of Tb3DyPd2.

Cell: 3.780 9.780 8.539 Å, 90.00 90.00 90.00°
Element x y z (fractional)
Tb 0.000 0.066 0.000
Tb 0.000 0.284 0.342
Tb 0.000 0.716 0.842
Tb 0.000 0.934 0.500
Tb 0.500 0.217 0.679
Tb 0.500 0.783 0.179
Dy 0.500 0.435 0.020
Dy 0.500 0.565 0.520
Pd 0.000 0.428 0.747
Pd 0.000 0.572 0.247
Pd 0.500 0.073 0.273
Pd 0.500 0.927 0.773

ΔE_f: -3.51 eV per formula unit
DOS(E_F): 14.1 states/eV per cell


[2]
## Tb4Dy3Pd4 (PBE)

Data for an optimized crystal structure of Tb4Dy3Pd4.

Cell: 9.367 9.367 9.367 Å, 156.38 121.11 64.35°
Element x y z (fractional)
Tb 0.025 0.839 0.186
Tb 0.347 0.161 0.186
Tb 0.653 0.839 0.814
Tb 0.975 0.161 0.814
Dy 0.000 0.500 0.500
Dy 0.392 0.392 0.000
Dy 0.608 0.608 0.000
Pd 0.246 0.746 0.500
Pd 0.333 0.000 0.333
Pd 0.667 0.000 0.667
Pd 0.754 0.254 0.500

ΔE_f: -6.38 eV per formula unit
DOS(E_F): 12.6 states/eV per cell


[3]
## TbDy3Pd (PBE)

Data for an optimized crystal structure of TbDy3Pd.

Cell: 6.371 6.371 13.742 Å, 113.91 113.91 33.91°
Element x y z (fractional)
Tb 0.000 0.000 0.000
Tb 0.115 0.115 0.293
Dy 0.320 0.320 0.765
Dy 0.349 0.349 0.133
Dy 0.649 0.649 0.531
Dy 0.679 0.679 0.897
Dy 0.884 0.884 0.371
Dy 0.999 0.999 0.662
Pd 0.336 0.336 0.510
Pd 0.665 0.665 0.153

ΔE_f: -1.76 eV per formula unit
DOS(E_F): 12.1 states/eV per cell


[4]
## TbDy5Pd2 (PBE)

Data for an optimized crystal structure of TbDy5Pd2.

Cell: 6.638 6.638 18.124 Å, 90.00 90.00 146.55°
Element x y z (fractional)
Tb 0.146 0.854 0.750
Tb 0.854 0.146 0.250
Dy 0.119 0.881 0.250
Dy 0.153 0.847 0.542
Dy 0.153 0.847 0.958
Dy 0.446 0.554 0.605
Dy 0.446 0.554 0.895
Dy 0.554 0.446 0.105
Dy 0.554 0.446 0.395
Dy 0.847 0.153 0.042
Dy 0.847 0.153 0.458
Dy 0.881 0.119 0.750
Pd 0.251 0.749 0.130
Pd 0.251 0.749 0.370
Pd 0.749 0.251 0.630
Pd 0.749 0.251 0.870

ΔE_f: -2.95 eV per formula unit
DOS(E_F): 16.3 states/eV per cell


[5]
## TbDy4Pd5 (PBE)

Data for an optimized crystal structure of TbDy4Pd5.

Cell: 3.477 3.477 17.895 Å, 90.00 90.00 90.00°
Element x y z (fractional)
Tb 0.000 0.000 0.000
Dy 0.000 0.000 0.201
Dy 0.000 0.000 0.400
Dy 0.000 0.000 0.600
Dy 0.000 0.000 0.799
Pd 0.500 0.500 0.101
Pd 0.500 0.500 0.300
Pd 0.500 0.500 0.500
Pd 0.500 0.500 0.700
Pd 0.500 0.500 0.899

ΔE_f: -8.76 eV per formula unit
DOS(E_F): 7.7 states/eV per cell


[6]
## TbDy2Pd9 (PBE)

Data for an optimized crystal structure of TbDy2Pd9.

Cell: 4.127 4.127 12.379 Å, 90.00 90.00 90.00°
Element x y z (fractional)
Tb 0.000 0.000 0.000
Dy 0.000 0.000 0.334
Dy 0.000 0.000 0.666
Pd 0.000 0.500 0.167
Pd 0.000 0.500 0.500
Pd 0.000 0.500 0.833
Pd 0.500 0.000 0.167
Pd 0.500 0.000 0.500
Pd 0.500 0.000 0.833
Pd 0.500 0.500 0.000
Pd 0.500 0.500 0.333
Pd 0.500 0.500 0.667

ΔE_f: -10.44 eV per formula unit
DOS(E_F): 9.0 states/eV per cell

~~~~~

# Dy3Ho4Tm3

Crystalline Dy3Ho4Tm3 at its relaxed geometry (PBE-GGA, the Alexandria database).

a = 3.6600 Å, b = 9.2066 Å, c = 9.2066 Å
α = 90.05°, β = 90.00°, γ = 90.00°
+++

Birding at Pointe aux Pins May 12-13

The last two days of my time off were once again spent at Rondeau, once known as Pointe aux Pins.  I just enjoy being there as I know the park so well and can avoid the throngs of people at times.  Rondeau does not turn up a lot of rarities, but it is not for lack of trying.
Monday started out cool, then a bit of rain.  Eventually the sun came out, but late in the day yet another heavy storm blew in.  (high winds again!).
There were not a lot of migrants in the park on Monday.  One could walk long distances and find mostly resident birds.  However, there were some warblers and other birds to look for.  Oddly, Yellow-rumped Warblers were more abundant than other warbler species.

**Crystal structures from another source follow**
Entry 1:
The following is a DFT calculation (GGA-PBE) of a relaxed structure of Ac9Co3Ni.

## Properties
Total energy, eV/atom: -4.95

Lattice parameters (Å, degrees): 7.080 10.989 11.807 90.00 96.05 90.00
Fractional coordinates of all 26 atoms:
Ac  0.104  0.250  0.195
Ac  0.152  0.572  0.377
Ac  0.152  0.928  0.377
Ac  0.221  0.250  0.867
Ac  0.258  0.566  0.041
Ac  0.258  0.934  0.041
Ac  0.362  0.250  0.534
Ac  0.362  0.577  0.713
Ac  0.362  0.923  0.713
Ac  0.638  0.077  0.287
Ac  0.638  0.423  0.287
Ac  0.638  0.750  0.466
Ac  0.742  0.066  0.959
Ac  0.742  0.434  0.959
Ac  0.779  0.750  0.133
Ac  0.848  0.072  0.623
Ac  0.848  0.428  0.623
Ac  0.896  0.750  0.805
Co  0.055  0.006  0.829
Co  0.055  0.494  0.829
Co  0.500  0.000  0.500
Co  0.500  0.500  0.500
Co  0.945  0.506  0.171
Co  0.945  0.994  0.171
Ni  0.474  0.250  0.086
Ni  0.526  0.750  0.914

Entry 2:
The following is a DFT calculation (GGA-PBE) of a relaxed structure of CsTlCdHg.

## Properties
Total energy, eV/atom: -1.11

Lattice parameters (Å, degrees): 5.920 5.920 5.920 60.00 60.00 60.00
Fractional coordinates of all 4 atoms:
Cs  0.000  0.000  0.000
Tl  0.500  0.500  0.500
Cd  0.750  0.750  0.750
Hg  0.250  0.250  0.250

Entry 3:
The following is a DFT calculation (GGA-PBE) of a relaxed structure of ZrScIr.

## Properties
Total energy, eV/atom: -8.48

Lattice parameters (Å, degrees): 5.410 4.371 5.932 90.00 109.86 90.00
Fractional coordinates of all 6 atoms:
Zr  0.083  0.250  0.315
Zr  0.917  0.750  0.685
Sc  0.486  0.750  0.167
Sc  0.514  0.250  0.833
Ir  0.350  0.750  0.575
Ir  0.650  0.250  0.425

Entry 4:
The following is a DFT calculation (GGA-PBE) of a relaxed structure of BeRe2Mo.

## Properties
Total energy, eV/atom: -9.78

Lattice parameters (Å, degrees): 3.092 3.092 5.747 90.00 90.00 90.00
Fractional coordinates of all 4 atoms:
Be  0.000  0.000  0.000
Re  0.000  0.000  0.513
Re  0.500  0.500  0.793
Mo  0.500  0.500  0.236


#A
Density functional theory data (PBE-GGA) for a relaxed structure of TbCuOs.

Unit cell a=4.9617 b=4.9617 c=6.3157 alpha=81.44 beta=127.83 gamma=114.12
Element x y z (fractional)
Tb: 0.7465 0.3483 0.0948
Os: 0.2420 0.9942 0.2362
Cu: 0.0000 0.0000 0.5000
Cu: 0.5000 0.5000 0.5000
Tb: 0.2535 0.6517 0.9052
Os: 0.7580 0.0058 0.7638

Calculated values
Size of the total moment (μB/f.u.): 0.00

#B
Density functional theory data (PBE-GGA) for a relaxed structure of TbCuOs.

Unit cell a=5.1749 b=5.3515 c=5.3515 alpha=58.25 beta=61.09 gamma=61.09
Element x y z (fractional)
Os: 0.5000 0.0000 0.0000
Cu: 0.5000 0.0000 0.5000
Os: 0.0000 0.0000 0.0000
Tb: 0.1196 0.6304 0.6304
Cu: 0.5000 0.5000 0.0000
Tb: 0.8804 0.3696 0.3696

Best spot for birds seemed to be in the middle of the park around group campground.  This spot off Harrison Trail can often make for some good birding.  Late in the afternoon I came across a pocket of 14 species of warblers there.  Earlier Hooded and Mourning were seen at that location.

Lots of these lately!

Just before the storm rolled in early evening, there was a feeding frenzy of gulls and Red-breasted Mergansers off the NE part of the park.  Unfortunately, the lake was foggy and the skies dark with rain, so I could not get a decent look.  I estimated about 800 mergansers and over 200 Bonaparte's.  Who knows what else was with them!

It cleared a bit at dusk, and I listened for nightjars at the VC.  I heard 3 Whip-poor-wills. I was hoping for a Chuck, but maybe one will show soon.  Woodcocks were displaying, and I managed to get a photo in the dark

Today, Tuesday, was a fabulous day.  Best weather day we have had.  It was actually very warm--something we have not been used to.  Steve Charbonneau and I spent the morning looking around and noted that a good number of birds had dropped in overnight.  Warblers, vireos (especially Red-eyed), thrushes and some flycatchers (eg. Yellow-bellied) were present unlike the previous day.

We checked Tulip Tree Trail first, and were entertained by a singing Prothonotary.  Little did we know that as we were leaving the area, a female Prothonotary Warbler  was on the front deck of the VC!  It had apparently hit a window, but was later deemed OK.

### Crystal structures from another source follow
=====
--- i ---
This record from the Alexandria database describes crystalline Mg4Au at its relaxed geometry. The functional is PBE.

a b c (Å): 6.2981 6.2981 6.2981
angles (deg): 90.00 90.00 90.00
Space group Im-3m (No. 229)
Inequivalent atoms, fractional coordinates:
Mg: 0.2500 0.2500 0.2500 (multiplicity 8)
Au: 0.0000 0.0000 0.0000 (multiplicity 2)

Calculated volume ... 24.98 A^3/atom

***

--- ii ---
This record from the Alexandria database describes crystalline Mg4Au at its relaxed geometry. The functional is PBE.

a b c (Å): 7.6029 7.6029 3.5601
angles (deg): 90.00 90.00 90.00
Space group I4/m (No. 87)
Inequivalent atoms, fractional coordinates:
Mg: 0.0824 0.7200 0.0000 (multiplicity 8)
Au: 0.0000 0.0000 0.5000 (multiplicity 2)

Calculated volume ... 20.58 A^3/atom

***

Tell me which of them is the most stable. Sure, it is ii.

~~~~~

Model one:
First-principles (GGA-PBE) data for FeMo2Os after structural relaxation, as listed in the Alexandria database.

DOS(E_F)   3.676 states/eV/f.u.

```
4
Lattice="-1.932 1.932 3.845 1.932 -1.932 3.845 1.932 1.932 -3.845" Properties=species:S:1:pos:R:3 pbc="T T T"
Fe 0.000 0.000 0.000
Mo 1.932 0.000 1.922
Mo 0.000 1.932 1.922
Os 0.000 0.000 3.845
```

---

Model two:
First-principles (GGA-PBE) data for FeMo2Os after structural relaxation, as listed in the Alexandria database.

DOS(E_F)   4.158 states/eV/f.u.

```
4
Lattice="4.505 -1.380 0.000 4.505 1.380 0.000 -0.839 0.000 4.642" Properties=species:S:1:pos:R:3 pbc="T T T"
Fe 0.000 0.000 0.000
Mo 1.634 0.000 3.636
Mo 3.993 0.000 2.275
Os 6.410 0.000 1.206
```

---

Model three:
First-principles (GGA-PBE) data for FeMo2Os after structural relaxation, as listed in the Alexandria database.

DOS(E_F)   4.056 states/eV/f.u.

```
4
Lattice="3.186 0.000 0.000 0.000 4.248 0.000 0.000 0.000 4.299" Properties=species:S:1:pos:R:3 pbc="T T T"
Fe 0.000 0.000 0.000
Mo 0.000 2.124 2.150
Mo 1.593 0.000 2.150
Os 1.593 2.124 0.000
```

---

Model four:
First-principles (GGA-PBE) data for FeMo2Os after structural relaxation, as listed in the Alexandria database.

DOS(E_F)   4.579 states/eV/f.u.

```
4
Lattice="2.753 0.000 0.000 0.000 2.753 0.000 0.000 0.000 7.501" Properties=species:S:1:pos:R:3 pbc="T T T"
Fe 0.000 0.000 0.000
Mo 1.377 1.377 1.781
Mo 1.377 1.377 5.720
Os 0.000 0.000 3.751
```

---

Least stable of them? model two.

---

Model one:
First-principles (GGA-PBE) data for Fe3MoP after structural relaxation, as listed in the Alexandria database.

DOS(E_F)   7.528 states/eV/f.u.

```
5
Lattice="4.052 0.000 0.000 0.000 4.052 0.000 0.000 0.000 4.052" Properties=species:S:1:pos:R:3 pbc="T T T"
Fe 0.000 0.000 2.026
Fe 0.000 2.026 0.000
Fe 2.026 0.000 0.000
Mo 2.026 2.026 2.026
P 0.000 0.000 0.000
```

---

Model two:
First-principles (GGA-PBE) data for Fe3MoP after structural relaxation, as listed in the Alexandria database.

DOS(E_F)   6.427 states/eV/f.u.

```
5
Lattice="4.466 0.000 0.000 0.000 4.466 0.000 0.000 0.000 4.466" Properties=species:S:1:pos:R:3 pbc="T T T"
=====

We decided to make a big loop walking from Bennett and Rondeau Roads, down Harrison, across Gardiner and back up to Bennett.  Birding was steady all the way.  Lots of tanagers, including a female Summer.  This bird was obviously different than the one Josh Vandermeulen photographed a couple days earlier farther north.
Although the number of migrants was not high, we got all the regular vireos, about 20 species of warblers, and other types of birds.

Great-crested Flycatcher

My last walk (before I was too tired!) was down Harrison Trail south the VC.  I saw at least three more Yellow-bellied Flycatchers.

Stopping along Rondeau Road is a common practice.  Pockets of birds on that long stretch of road make birders curious.

Rondeau Road birders

Early this evening I took a quick trip out the Brander Park, Port Lambton and was delighted to find quite a few migrants.  I saw 14 species of warblers plus some vireos, thrushes and a Scarlet Tanager.  The first thing I heard was a male Cerulean singing atop a tree!  Only the second time I have had one at that location.
Black Terns have finally come back in number and about 80 were flying around, mostly over the sewage lagoons.

Spotted Sandpiper

Looking forward to the holiday weekend when more flycatchers should be in, as well as some later warblers.


  1. Well--I didn't expect to find my picture on your Birding Blog !!
    Stopped on the roadside--we were actually looking at the Pileated Woodpecker's nesting hole ! Birders have seen that species
    coming and going there !
    Also today we watched a Wood Thrush come and go from it's nest
    near bridge C on TTT.

  2. I noticed that the Yellow-bellied Sapsucker you had a photo of four posts back is one of the "black-crowned" variants.
